# Activity
Retype all of the block below character by character.

# Entries
┌──
A relaxed Mg14NbCoO16 crystal. Source: Materials Project, functional GGA+U.

The structure belongs to space group P4/mmm (No. 123); the cell edges are 8.616, 8.616 and 4.272 Å and the angles 90.00°, 90.00° and 90.00°. The asymmetric unit holds Mg at (0.000, 0.244, 0.000), Mg at (0.000, 0.500, 0.500), Mg at (0.240, 0.500, 0.000), Mg at (0.242, 0.242, 0.500), Nb at (0.500, 0.500, 0.500), Co at (0.000, 0.000, 0.500), O at (0.000, 0.000, 0.000), O at (0.000, 0.262, 0.500), O at (0.000, 0.500, 0.000), O at (0.246, 0.500, 0.500), O at (0.251, 0.251, 0.000) and O at (0.500, 0.500, 0.000).

For the raw total energy, the calculation gives -6.12 eV/atom. The calculation puts the calculated volume at 317.1 Å³/cell.
└──

# Here it is
A relaxed Mg14NbCoO16 crystal. Source: Materials Project, functional GGA+U.

The structure belongs to space group P4/mmm (No. 123); the cell edges are 8.616, 8.616 and 4.272 Å and the angles 90.00°, 90.00° and 90.00°. The asymmetric unit holds Mg at (0.000, 0.244, 0.000), Mg at (0.000, 0.500, 0.500), Mg at (0.240, 0.500, 0.000), Mg at (0.242, 0.242, 0.500), Nb at (0.500, 0.500, 0.500), Co at (0.000, 0.000, 0.500), O at (0.000, 0.000, 0.000), O at (0.000, 0.262, 0.500), O at (0.000, 0.500, 0.000), O at (0.246, 0.500, 0.500), O at (0.251, 0.251, 0.000) and O at (0.500, 0.500, 0.000).

For the raw total energy, the calculation gives -6.12 eV/atom. The calculation puts the calculated volume at 317.1 Å³/cell.